_Job_
Echo the lines further down from the one with "C24H42Cl10NO6S as" to the one with "-0.188" word for word, please.

_Given_
+++
Record 1
Here is C24H42Cl10NO6S as an isolated structure from OMol25. Energies are from ωB97M-V/def2-TZVPD.

As for the HOMO energy: -0.4323 Ha. For the gap between HOMO and LUMO, the calculation gives 0.284 Eh. As for the max |F|: 3.9 eV Å⁻¹. For the lowest unoccupied orbital energy, the calculation gives -4.0 eV. As for the total charge: +1. As for the molecular weight: 827.2 g/mol.

Each line ends with the Mulliken charge.
Positions of all 84 atoms, in Å:
C 3.433 -0.782 2.329  -0.727
C 3.728 -0.479 0.839  0.418
C 3.878 1.021 0.487  -0.343
C 2.651 1.607 -0.221  -0.111
O 1.961 2.614 0.621  -0.411
C 0.629 2.454 0.467  -0.360
C 0.064 2.972 -0.691  -0.440
N -1.246 2.835 -0.904  0.373
C -2.045 2.186 -0.052  -0.388
C -1.544 1.618 1.108  1.538
C -2.489 0.848 1.996  -1.254
C -3.453 -0.097 1.215  -0.999
C -2.803 -0.895 0.066  0.143
C -2.298 -2.299 0.402  -1.476
S -0.681 -2.281 1.169  1.053
O -0.011 -1.070 0.816  -0.613
O 0.074 -3.439 0.805  -0.449
O -0.942 -2.396 2.750  -0.470
C -0.174 1.774 1.408  0.587
C 0.518 1.282 2.666  -0.401
O 1.371 1.977 3.125  -0.395
O 0.163 0.137 3.286  -0.358
H 3.680 0.038 3.000  0.081
H 3.962 -1.693 2.621  0.387
H 2.373 -1.026 2.443  -0.054
H 2.915 -0.940 0.264  -0.361
H 4.624 -1.026 0.536  0.433
H 4.714 1.097 -0.217  0.394
H 4.144 1.630 1.359  -0.316
H 1.950 0.775 -0.370  -0.031
H 2.874 2.012 -1.213  0.490
H 0.650 3.488 -1.439  0.558
H -1.687 3.231 -1.742  0.060
H -3.103 2.095 -0.265  0.456
H -3.122 1.580 2.516  0.586
H -1.992 0.282 2.776  0.194
H -3.821 -0.828 1.944  0.515
H -4.350 0.427 0.876  0.433
H -3.580 -1.037 -0.695  0.166
H -1.985 -0.371 -0.433  0.214
H -3.018 -2.913 0.954  0.731
H -2.154 -2.826 -0.545  0.336
H -1.799 -2.832 2.870  0.385
H -0.156 0.348 4.175  0.355
Cl 4.127 -4.475 -0.048  -0.170
C 2.701 -5.540 -0.026  -0.230
C 2.934 -6.817 -0.791  -0.481
Cl 3.067 -6.528 -2.547  -0.184
H 1.859 -4.981 -0.428  0.068
H 2.492 -5.768 1.019  0.340
H 2.092 -7.492 -0.643  0.316
H 3.840 -7.320 -0.464  0.345
Cl 5.537 5.166 5.481  -0.188
C 4.742 5.141 3.888  -0.522
C 3.855 3.935 3.714  0.002
Cl 4.791 2.422 3.604  -0.189
H 5.516 5.181 3.125  0.334
H 4.143 6.048 3.818  0.348
H 3.287 4.022 2.788  -0.132
H 3.152 3.833 4.537  0.363
Cl -6.845 -1.927 0.950  -0.164
C -7.124 -3.110 -0.357  -0.488
C -6.135 -2.952 -1.483  -0.028
Cl -6.372 -1.435 -2.388  -0.179
H -8.149 -2.991 -0.700  0.371
H -7.023 -4.101 0.082  0.292
H -6.253 -3.768 -2.193  0.361
H -5.111 -2.963 -1.114  -0.132
Cl 0.493 -2.059 -1.271  0.060
C 0.998 -1.390 -2.857  -0.680
C 1.997 -2.283 -3.544  -0.532
Cl 3.554 -2.286 -2.684  -0.147
H 1.408 -0.394 -2.693  0.159
H 0.100 -1.295 -3.467  0.485
H 2.191 -1.928 -4.555  0.399
H 1.637 -3.308 -3.605  0.277
Cl -0.988 3.919 -3.725  -0.212
C -2.004 4.478 -5.090  -0.494
C -2.827 5.681 -4.713  -0.444
Cl -4.089 5.270 -3.523  -0.176
H -2.629 3.646 -5.405  0.332
H -1.328 4.726 -5.906  0.336
H -3.330 6.071 -5.596  0.334
H -2.211 6.472 -4.291  0.320

Record 2
Here is C37H37F3O2P2Pb as an isolated structure from OMol25. Energies are from ωB97M-V/def2-TZVPD.

As for the HOMO energy (alpha / beta): -0.4893 / -0.4762 Ha. For the gap between HOMO and LUMO (alpha / beta), the calculation gives 0.136 / 0.168 Eh. As for the max |F|: 4.6 eV Å⁻¹. For the lowest unoccupied orbital energy (alpha / beta), the calculation gives -9.6 / -8.4 eV. As for the total charge: +2. As for the molecular weight: 839.8 g/mol.

Each line ends with the Mulliken charge.
Positions of all 82 atoms, in Å:
Pb 1.507 -1.673 4.811  0.936
C -2.438 0.224 6.486  -0.250
C -2.609 -0.007 5.178  -0.087
C -2.955 0.996 4.105  -0.981
C -1.716 1.624 3.428  -0.012
C -0.621 2.077 4.343  -0.473
C -0.781 2.562 5.577  -0.348
C -2.078 2.748 6.294  -0.954
C -2.408 1.548 7.206  -0.533
C 2.406 0.184 5.575  -1.206
H -2.327 -0.638 7.156  0.498
H -2.466 -1.033 4.790  0.490
H -3.629 1.774 4.488  0.426
H -3.527 0.446 3.336  0.508
H -1.318 0.900 2.703  -0.172
H -2.050 2.480 2.830  0.350
H 0.389 1.975 3.939  0.646
H 0.092 2.815 6.191  0.361
H -2.907 2.935 5.611  0.297
+++

_Here it is_
Here is C24H42Cl10NO6S as an isolated structure from OMol25. Energies are from ωB97M-V/def2-TZVPD.

As for the HOMO energy: -0.4323 Ha. For the gap between HOMO and LUMO, the calculation gives 0.284 Eh. As for the max |F|: 3.9 eV Å⁻¹. For the lowest unoccupied orbital energy, the calculation gives -4.0 eV. As for the total charge: +1. As for the molecular weight: 827.2 g/mol.

Each line ends with the Mulliken charge.
Positions of all 84 atoms, in Å:
C 3.433 -0.782 2.329  -0.727
C 3.728 -0.479 0.839  0.418
C 3.878 1.021 0.487  -0.343
C 2.651 1.607 -0.221  -0.111
O 1.961 2.614 0.621  -0.411
C 0.629 2.454 0.467  -0.360
C 0.064 2.972 -0.691  -0.440
N -1.246 2.835 -0.904  0.373
C -2.045 2.186 -0.052  -0.388
C -1.544 1.618 1.108  1.538
C -2.489 0.848 1.996  -1.254
C -3.453 -0.097 1.215  -0.999
C -2.803 -0.895 0.066  0.143
C -2.298 -2.299 0.402  -1.476
S -0.681 -2.281 1.169  1.053
O -0.011 -1.070 0.816  -0.613
O 0.074 -3.439 0.805  -0.449
O -0.942 -2.396 2.750  -0.470
C -0.174 1.774 1.408  0.587
C 0.518 1.282 2.666  -0.401
O 1.371 1.977 3.125  -0.395
O 0.163 0.137 3.286  -0.358
H 3.680 0.038 3.000  0.081
H 3.962 -1.693 2.621  0.387
H 2.373 -1.026 2.443  -0.054
H 2.915 -0.940 0.264  -0.361
H 4.624 -1.026 0.536  0.433
H 4.714 1.097 -0.217  0.394
H 4.144 1.630 1.359  -0.316
H 1.950 0.775 -0.370  -0.031
H 2.874 2.012 -1.213  0.490
H 0.650 3.488 -1.439  0.558
H -1.687 3.231 -1.742  0.060
H -3.103 2.095 -0.265  0.456
H -3.122 1.580 2.516  0.586
H -1.992 0.282 2.776  0.194
H -3.821 -0.828 1.944  0.515
H -4.350 0.427 0.876  0.433
H -3.580 -1.037 -0.695  0.166
H -1.985 -0.371 -0.433  0.214
H -3.018 -2.913 0.954  0.731
H -2.154 -2.826 -0.545  0.336
H -1.799 -2.832 2.870  0.385
H -0.156 0.348 4.175  0.355
Cl 4.127 -4.475 -0.048  -0.170
C 2.701 -5.540 -0.026  -0.230
C 2.934 -6.817 -0.791  -0.481
Cl 3.067 -6.528 -2.547  -0.184
H 1.859 -4.981 -0.428  0.068
H 2.492 -5.768 1.019  0.340
H 2.092 -7.492 -0.643  0.316
H 3.840 -7.320 -0.464  0.345
Cl 5.537 5.166 5.481  -0.188